-- Work order --
What is needed: give back the lines below up to the one that holds "0.189", that line included.
-- Data --
********
The following is a DFT calculation (PBE) of a relaxed Na2Nb6In2Si7S5O48 crystal.

Cell: 17.804 8.940 23.033 Å, 89.95 90.11 120.17°
Atoms (fractional coordinates):
1 Na 0.997 0.003 0.496
2 Na 0.499 0.003 0.993
3 Na 0.338 0.322 0.831
4 Na 0.823 0.333 0.834
5 Na 0.325 0.318 0.340
6 Na 0.835 0.354 0.340
7 Nb 0.500 0.993 0.359
8 Nb 0.001 0.005 0.857
9 Nb 0.500 0.005 0.643
10 Nb 0.999 0.995 0.143
11 Nb 0.324 0.335 0.689
12 Nb 0.834 0.312 0.688
13 Nb 0.330 0.344 0.191
14 Nb 0.825 0.313 0.191
15 Nb 0.326 0.329 0.972
16 Nb 0.830 0.320 0.474
17 Nb 0.171 0.671 0.022
18 Nb 0.677 0.672 0.021
19 Nb 0.171 0.673 0.525
20 Nb 0.673 0.670 0.523
21 Nb 0.166 0.686 0.312
22 Nb 0.681 0.679 0.309
23 Nb 0.179 0.682 0.807
24 Nb 0.665 0.644 0.810
25 In 0.001 0.980 0.356
26 In 0.501 0.023 0.855
27 In 0.993 0.015 0.648
28 In 0.495 0.986 0.153
29 In 0.833 0.332 0.980
30 In 0.332 0.332 0.480
31 Si 0.141 0.004 0.251
32 Si 0.639 0.992 0.251
33 Si 0.353 0.715 0.252
34 Si 0.860 0.710 0.248
35 Si 0.141 0.287 0.751
36 Si 0.646 0.278 0.751
37 Si 0.361 0.012 0.748
38 Si 0.853 0.994 0.752
39 Si 0.978 0.332 0.580
40 Si 0.689 0.044 0.582
41 Si 0.337 0.622 0.580
42 Si 0.835 0.051 0.081
43 Si 0.190 0.334 0.083
44 Si 0.315 0.678 0.916
45 Si 0.811 0.658 0.915
46 Si 0.525 0.384 0.920
47 Si 0.162 0.941 0.917
48 Si 0.310 0.962 0.418
49 Si 0.816 0.956 0.416
50 Si 0.665 0.383 0.417
51 Si 0.025 0.666 0.420
52 S 0.999 0.288 0.249
53 S 0.500 0.292 0.251
54 S 0.000 0.712 0.752
55 S 0.499 0.709 0.750
56 S 0.479 0.336 0.583
57 S 0.185 0.039 0.584
58 S 0.835 0.617 0.581
59 S 0.477 0.619 0.081
60 S 0.979 0.622 0.084
61 S 0.336 0.051 0.081
62 S 0.683 0.328 0.084
63 S 0.026 0.385 0.915
64 S 0.666 0.948 0.917
65 S 0.167 0.386 0.417
66 S 0.525 0.666 0.415
67 O 0.115 0.067 0.308
68 O 0.596 0.035 0.306
69 O 0.422 0.811 0.305
70 O 0.913 0.767 0.308
71 O 0.480 0.174 0.301
72 O 0.976 0.181 0.301
73 O 0.098 0.163 0.808
74 O 0.617 0.165 0.809
75 O 0.476 0.770 0.802
76 O 0.985 0.796 0.803
77 O 0.410 0.057 0.809
78 O 0.921 0.032 0.807
79 O 0.406 0.977 0.694
80 O 0.881 0.940 0.694
81 O 0.093 0.216 0.691
82 O 0.582 0.182 0.695
83 O 0.017 0.814 0.699
84 O 0.512 0.815 0.697
85 O 0.381 0.817 0.191
86 O 0.906 0.834 0.192
87 O 0.011 0.206 0.196
88 O 0.519 0.228 0.197
89 O 0.082 0.980 0.194
90 O 0.593 0.967 0.189
91 O 0.434 0.358 0.634
92 O 0.932 0.357 0.640
93 O 0.240 0.131 0.637
94 O 0.753 0.133 0.639
95 O 0.320 0.493 0.637
96 O 0.821 0.513 0.634
97 O 0.437 0.518 0.135
98 O 0.935 0.510 0.134
99 O 0.326 0.133 0.134
100 O 0.818 0.145 0.137
101 O 0.256 0.372 0.139
102 O 0.737 0.349 0.137
103 O 0.239 0.305 0.028
104 O 0.721 0.301 0.031
105 O 0.420 0.524 0.030
106 O 0.927 0.558 0.030
107 O 0.345 0.152 0.029
108 O 0.856 0.166 0.024
109 O 0.222 0.144 0.532
110 O 0.733 0.167 0.526
111 O 0.360 0.547 0.524
112 O 0.841 0.535 0.528
113 O 0.428 0.297 0.530
114 O 0.912 0.315 0.526
115 O 0.260 0.690 0.973
116 O 0.767 0.687 0.975
117 O 0.075 0.466 0.971
118 O 0.586 0.497 0.976
119 O 0.151 0.829 0.975
120 O 0.665 0.854 0.972
121 O 0.266 0.846 0.476
122 O 0.759 0.829 0.472
123 O 0.165 0.473 0.472
124 O 0.650 0.472 0.475
125 O 0.087 0.677 0.473
126 O 0.574 0.683 0.470
127 O 0.066 0.638 0.359
128 O 0.570 0.650 0.364
129 O 0.247 0.863 0.361
130 O 0.759 0.860 0.358
131 O 0.172 0.488 0.365
132 O 0.678 0.503 0.360
133 O 0.070 0.492 0.865
134 O 0.565 0.497 0.860
135 O 0.180 0.854 0.861
136 O 0.672 0.858 0.865
137 O 0.257 0.653 0.858
138 O 0.745 0.629 0.861
139 O 0.023 0.843 0.422
140 O 0.520 0.829 0.411
141 O 0.403 0.971 0.403
142 O 0.911 0.983 0.416
143 O 0.087 0.216 0.416
144 O 0.580 0.194 0.404
145 O 0.021 0.213 0.912
146 O 0.522 0.202 0.922
147 O 0.080 0.968 0.906
148 O 0.587 0.958 0.919
149 O 0.411 0.838 0.916
150 O 0.903 0.835 0.904
151 O 0.493 0.186 0.593
152 O 0.983 0.157 0.579
153 O 0.096 0.003 0.592
154 O 0.595 0.023 0.596
155 O 0.418 0.811 0.598
156 O 0.912 0.791 0.585
157 O 0.483 0.790 0.082
158 O 0.993 0.800 0.092
159 O 0.413 0.029 0.084
160 O 0.915 0.021 0.098
161 O 0.096 0.167 0.096
162 O 0.594 0.182 0.090
********
-- Done --
The following is a DFT calculation (PBE) of a relaxed Na2Nb6In2Si7S5O48 crystal.

Cell: 17.804 8.940 23.033 Å, 89.95 90.11 120.17°
Atoms (fractional coordinates):
1 Na 0.997 0.003 0.496
2 Na 0.499 0.003 0.993
3 Na 0.338 0.322 0.831
4 Na 0.823 0.333 0.834
5 Na 0.325 0.318 0.340
6 Na 0.835 0.354 0.340
7 Nb 0.500 0.993 0.359
8 Nb 0.001 0.005 0.857
9 Nb 0.500 0.005 0.643
10 Nb 0.999 0.995 0.143
11 Nb 0.324 0.335 0.689
12 Nb 0.834 0.312 0.688
13 Nb 0.330 0.344 0.191
14 Nb 0.825 0.313 0.191
15 Nb 0.326 0.329 0.972
16 Nb 0.830 0.320 0.474
17 Nb 0.171 0.671 0.022
18 Nb 0.677 0.672 0.021
19 Nb 0.171 0.673 0.525
20 Nb 0.673 0.670 0.523
21 Nb 0.166 0.686 0.312
22 Nb 0.681 0.679 0.309
23 Nb 0.179 0.682 0.807
24 Nb 0.665 0.644 0.810
25 In 0.001 0.980 0.356
26 In 0.501 0.023 0.855
27 In 0.993 0.015 0.648
28 In 0.495 0.986 0.153
29 In 0.833 0.332 0.980
30 In 0.332 0.332 0.480
31 Si 0.141 0.004 0.251
32 Si 0.639 0.992 0.251
33 Si 0.353 0.715 0.252
34 Si 0.860 0.710 0.248
35 Si 0.141 0.287 0.751
36 Si 0.646 0.278 0.751
37 Si 0.361 0.012 0.748
38 Si 0.853 0.994 0.752
39 Si 0.978 0.332 0.580
40 Si 0.689 0.044 0.582
41 Si 0.337 0.622 0.580
42 Si 0.835 0.051 0.081
43 Si 0.190 0.334 0.083
44 Si 0.315 0.678 0.916
45 Si 0.811 0.658 0.915
46 Si 0.525 0.384 0.920
47 Si 0.162 0.941 0.917
48 Si 0.310 0.962 0.418
49 Si 0.816 0.956 0.416
50 Si 0.665 0.383 0.417
51 Si 0.025 0.666 0.420
52 S 0.999 0.288 0.249
53 S 0.500 0.292 0.251
54 S 0.000 0.712 0.752
55 S 0.499 0.709 0.750
56 S 0.479 0.336 0.583
57 S 0.185 0.039 0.584
58 S 0.835 0.617 0.581
59 S 0.477 0.619 0.081
60 S 0.979 0.622 0.084
61 S 0.336 0.051 0.081
62 S 0.683 0.328 0.084
63 S 0.026 0.385 0.915
64 S 0.666 0.948 0.917
65 S 0.167 0.386 0.417
66 S 0.525 0.666 0.415
67 O 0.115 0.067 0.308
68 O 0.596 0.035 0.306
69 O 0.422 0.811 0.305
70 O 0.913 0.767 0.308
71 O 0.480 0.174 0.301
72 O 0.976 0.181 0.301
73 O 0.098 0.163 0.808
74 O 0.617 0.165 0.809
75 O 0.476 0.770 0.802
76 O 0.985 0.796 0.803
77 O 0.410 0.057 0.809
78 O 0.921 0.032 0.807
79 O 0.406 0.977 0.694
80 O 0.881 0.940 0.694
81 O 0.093 0.216 0.691
82 O 0.582 0.182 0.695
83 O 0.017 0.814 0.699
84 O 0.512 0.815 0.697
85 O 0.381 0.817 0.191
86 O 0.906 0.834 0.192
87 O 0.011 0.206 0.196
88 O 0.519 0.228 0.197
89 O 0.082 0.980 0.194
90 O 0.593 0.967 0.189